
This Week’s WOW!: Mesothelioma & A Brief History of Asbestos

When Heather Von St. James contacted me to see if I’d be interested in doing a brief Moment for Meso blogpost to help her raise awareness about Mesothelioma, I initially thought it would be a good thing to do, but not particularly interesting. I was aware of Mesothelioma in a vague sense–I knew, for instance, that asbestos was a carcinogen and that abundant exposure to it could cause cancer–but in the process of researching a bit for this post, I ended up learning some very interesting things I thought I’d share with you! 

asbestosDID YOU KNOW? 

I’d always thought asbestos came into major usage sometime in the ’70s when lead paint and other dangerous substances seemed to be making their way into homes. I also thought that for the most part, asbestos was used in construction for fire-proofing. While this latter detail is true–asbestos has been commonly used in construction materials to increase their fire resistance–asbestos has a much longer history of use than that.

The ancient Greeks used it to create fabrics (for tablecloths and napkins, as well as funeral shrouds for pyres) that could be burned in a fireplace to cleanse them, rather than having to wash them. The Romans did this, too.(1) In fact, there’s a steady stream of asbestos use from then on throughout history, though asbestos became particularly useful during the Industrial Revolution in the 19th century. During the rise of steam-power, asbestos was put to liberal use as a fire-retardant insulator in steam engines and later in automobiles.(2) In the 20th century, asbestos was used in–yes–construction materials, but also in a vast array of other household items, like crock pots, hairdryers, car brakes, paint, fertilizer, and there’s even evidence that some baby powders were regularly contaminated with asbestos as well, due to contaminated talc mines.(3)

The thing is, though, people since ancient Greece have known that working near or mining asbestos causes respiratory illness. In Greece, it was considered to cause lung disease and even early death in the slaves who worked in the asbestos mines. During the Industrial Revolution, those working in shipyards and other industries which utilized asbestos liberally, it was not uncommon at all for workers to develop and die from mesothelioma.** All this time, we’ve known asbestos was bad for those working with it, and yet we seem addicted to its use. Even today, asbestos use is still legal in the U.S.(4)


– Exposure to asbestos doesn’t have to be first-hand to be at risk for mesothelioma. A lot of the spouse and children of those who work directly with asbestos or live in towns near asbestos mines can develop this aggressive cancer from inhaling particles from the clothing of the individual working in direct contact.(5)

– Symptoms of mesothelioma might not show up for up to 30-60 years after primary exposure. (4)

– Mesothelioma usually comes with an average of 10 months expected lifespan, post-diagnosis. (4)

– US Veterans are at the highest risk of mesothelioma due to their contact with construction and mechanical uses of asbestos. (4)

Attached: calculated crystals
+++
<P>
Material: LiMn3Br
Method: DFT, GGA-PBE
State: relaxed

abc: 4.595 4.595 4.595
angles: 90.00 90.00 90.00
Atoms (fractional coordinates):
Li 0.000 0.000 0.000
Mn 0.000 0.000 0.500
Mn 0.000 0.500 0.000
Mn 0.500 0.000 0.000
Br 0.500 0.500 0.500

Computed properties:
Symmetry ... Pm-3m, No. 221
Size of the total moment ... 12.3 μB per formula unit

=====

<Q>
Material: LiMn3Br
Method: DFT, GGA-PBE
State: relaxed

abc: 4.574 4.574 4.574
angles: 90.00 90.00 90.00
Atoms (fractional coordinates):
Li 0.000 0.000 0.000
Mn 0.000 0.500 0.500
Mn 0.500 0.000 0.500
Mn 0.500 0.500 0.000
Br 0.500 0.500 0.500

Computed properties:
Symmetry ... Pm-3m, No. 221
Size of the total moment ... 9.2 μB per formula unit

=====

Which one is most stable, and which one is least stable? <Q> is the most stable of them, while <P> is the least stable.

=====

<P>
Material: LiMnBr6
Method: DFT, GGA-PBE
State: relaxed

abc: 7.431 10.116 6.591
angles: 90.00 94.15 90.00
Atoms (fractional coordinates):
Li 0.000 0.000 0.000
Li 0.500 0.500 0.000
Mn 0.000 0.000 0.500
Mn 0.500 0.500 0.500
Br 0.142 0.166 0.729
Br 0.142 0.834 0.729
Br 0.234 0.500 0.703
Br 0.266 0.000 0.297
Br 0.358 0.334 0.271
Br 0.358 0.666 0.271
Br 0.642 0.334 0.729
Br 0.642 0.666 0.729
Br 0.734 0.000 0.703
Br 0.766 0.500 0.297
Br 0.858 0.166 0.271
Br 0.858 0.834 0.271

Computed properties:
Symmetry ... C2/m, No. 12
Size of the total moment ... 3.0 μB per formula unit

=====

<Q>
Material: LiMnBr6
Method: DFT, GGA-PBE
State: relaxed

abc: 6.841 6.841 6.841
angles: 57.65 57.65 57.65
Atoms (fractional coordinates):
Li 0.000 0.000 0.000
Mn 0.500 0.500 0.500
Br 0.104 0.436 0.717
Br 0.283 0.896 0.564
Br 0.436 0.717 0.104
Br 0.564 0.283 0.896
Br 0.717 0.104 0.436
Br 0.896 0.564 0.283

Computed properties:
Symmetry ... R-3, No. 148
Size of the total moment ... 2.1 μB per formula unit

=====

Which one is most stable, and which one is least stable? <P> is the most stable of them, while <Q> is the least stable.

~~~~~

No. 1
Compound: Ce2PrTh3As6
Source: Alexandria
Functional: PBE
Structure: optimized geometry

Geometry as POSCAR:
```
Ce2PrTh3As6
1.0
-3.584 -4.479 4.627
-0.506 -1.051 -7.277
6.890 -2.352 1.104
As Pr Th Ce
6 1 3 2
Cartesian
1.215 -1.407 -2.399
4.130 -3.169 0.155
2.623 -5.320 -3.161
0.177 -2.562 1.615
1.585 -6.475 0.853
-1.330 -4.713 -1.701
0.000 0.000 0.000
2.429 -2.795 -4.755
1.400 -3.941 -0.773
0.371 -5.088 3.209
-2.559 -3.337 0.662
-1.532 -2.193 -3.312
```

Theoretical density, g/cm3: 7.97
Symmetry: C2/m
ΔH_f (0 K), meV/atom: -1441


No. 2
Compound: LiCdPb3
Source: Alexandria
Functional: PBE
Structure: optimized geometry

Geometry as POSCAR:
```
LiCdPb3
1.0
6.247 0.000 0.000
0.000 8.266 -2.494
0.000 0.087 10.496
Li Pb Cd
4 12 4
Cartesian
1.596 5.314 0.089
4.651 3.040 7.913
4.719 2.996 2.665
1.528 5.358 5.337
0.041 6.691 7.955
1.493 3.265 7.925
4.616 5.132 5.324
3.104 8.229 -0.508
1.631 3.221 2.677
4.754 5.089 0.076
6.227 0.081 3.262
6.206 1.663 0.047
3.082 6.647 2.707
3.165 1.706 5.294
3.143 0.125 8.510
+++

– 3,000 people are diagnosed with mesothelioma every year. (4)


(I recognize this isn’t “proper” format for a bibliography, but work with me here–I’ve got a newborn to get back to! At least this should help you find more information about the various facts I’ve discussed here. Learn more!)

(1) Ross, Malcom and Nolan, Robert P. “History of asbestos discovery and use,” Earth and Environmental Sciences of the Graduate School and University Center of The City University of New York, NY, 2003. (Pg. 449).



(4) Von St. James. Heather. “Moment for Meso,”
